Good day. I am looking for G40, 1914 players. I live in northern VA, can travel.
Best way to reach me is by email at
Players Eastern PA and New Jersey
Sundays as best
@CherryGT So if we set up someplace this Sunday?
Ya im down for that
I’m located in Cherry Hill, NJ. Would love to join in a playing group. I’d be reliable for a big game once month minimum. New player but have been playing 1942 quite a bit online. Own 1941 currently.
@dadkins131 hey, I’m actually communicating with a couple guys from Jersey on another thread. We need a place to meet up.
@Justinrenna There’s a cool looking place in Levittown Pa, ( and another place in Cherry Hill that I plan to walk-in and check out. Just curious on how many players are seriously looking to get a game going?
Looks like I can get a free room at the Cherry Hill Library once a month too (i’m a resident).
@dadkins131 no real goal. I was just saying that I’m in contact with 2 others. I believe there is a place in Jenkintown. Levittown is cool too.
@dadkins131 if you set somthing up I’ll show👍🏼
@dadkins131 The spot in Levittown is open 11-6 on Sunday.
• Next to the text, the page also holds calculated crystals:
........
This entry pairs a crystal structure of Ba2In15Bi2 with its simulated powder X-ray diffraction pattern. Radiation: copper Kα. Structure: a DFT-relaxed cell (PBE, Alexandria).
Kinematic intensities with the Lorentz-polarization factor, no thermal factor.

Principal peaks in the range 2θ from 15° to 90°, sorted by position:
hkl	2theta	I (rel.)
3 0 0	28.27	52
0 2 4	28.59	64
0 0 6	32.34	39
0 3 3	32.65	79
2 2 0	32.75	90
2 0 5	32.93	50
2 1 4	33.04	32
2 2 3	36.66	100
0 3 9	57.87	33
6 0 0	58.46	31

Cell and atoms:
```
data_Ba2In15Bi2
_chemical_formula_sum 'Ba6 In45 Bi6'
_space_group_name_H-M_alt 'R -3 m'
_space_group_IT_number 166
_space_group_name_Hall '-R 3 2"'
_cell_length_a 10.9370
_cell_length_b 10.9370
_cell_length_c 16.6100
_cell_angle_alpha 90.00
_cell_angle_beta 90.00
_cell_angle_gamma 120.00
loop_
_atom_site_label
_atom_site_type_symbol
_atom_site_fract_x
_atom_site_fract_y
_atom_site_fract_z
Ba1 Ba 0.0000 0.0000 0.1571
In1 In 0.0000 0.2929 0.5000
In2 In 0.0000 0.5000 0.0000
In3 In 0.0103 0.5052 0.6445
Bi1 Bi 0.0000 0.0000 0.3864
```



This entry pairs a crystal structure of Na16AlIn12 with its simulated powder X-ray diffraction pattern. Radiation: copper Kα. Structure: a DFT-relaxed cell (PBE, Alexandria).
Kinematic intensities with the Lorentz-polarization factor, no thermal factor.

Principal peaks in the range 2θ from 15° to 90°, sorted by position:
hkl	2theta	I (rel.)
1 3 -1	18.28	100
2 2 -1	18.45	48
1 1 1	18.76	44
1 1 -2	18.93	70
4 0 -1	32.45	53
1 3 2	32.68	41
1 3 -3	32.88	42
2 6 -1	35.28	54
3 5 -2	35.60	39
3 1 1	36.22	47

Cell and atoms:
```
data_Na16AlIn12
_chemical_formula_sum 'Na32 Al2 In24'
_space_group_name_H-M_alt 'C 1 m 1'
_space_group_IT_number 8
_cell_length_a 11.6753
_cell_length_b 16.9584
_cell_length_c 9.9128
_cell_angle_alpha 90.00
_cell_angle_beta 125.24
_cell_angle_gamma 90.00
loop_
_space_group_symop_operation_xyz
'x,y,z'
'x,-y,z'
'x+1/2,y+1/2,z'
'x+1/2,-y+1/2,z'
loop_
_atom_site_label
_atom_site_type_symbol
_atom_site_fract_x
_atom_site_fract_y
_atom_site_fract_z
Na1 Na 0.0000 0.0000 0.0000
Na2 Na 0.0067 0.0000 0.3619
Na3 Na 0.0155 0.2970 0.6669
Na4 Na 0.0470 0.3578 0.3538
Na5 Na 0.0903 0.5000 0.6295
Na6 Na 0.2069 0.2080 0.0513
Na7 Na 0.3317 0.3332 0.3671
Na8 Na 0.3458 0.3418 0.7708
Na9 Na 0.3574 0.0000 0.7124
Na10 Na 0.4340 0.1564 0.9554
Al1 Al 0.3143 0.0000 0.0753
In1 In 0.1054 0.0905 0.7476
In2 In 0.1132 0.5000 0.1800
In3 In 0.1915 0.1820 0.5487
In4 In 0.2167 0.4102 0.9891
In5 In 0.2790 0.0889 0.3412
In6 In 0.3264 0.5000 0.5578
In7 In 0.4955 0.3193 0.1759
```



This entry pairs a crystal structure of Li6Tl5Cu with its simulated powder X-ray diffraction pattern. Radiation: copper Kα. Structure: a DFT-relaxed cell (PBE, Alexandria).
Kinematic intensities with the Lorentz-polarization factor, no thermal factor.

Principal peaks in the range 2θ from 15° to 90°, sorted by position:
hkl	2theta	I (rel.)
1 0 3	26.11	100
0 2 0	26.28	50
0 0 6	37.01	22
1 2 3	37.39	89
2 0 0	37.52	22
0 2 6	45.96	22
2 2 0	46.39	22
2 2 6	60.77	19
........
I think a good next step to start corralling everyone and taking some action towards our first game, is to organize a private group for players in our local area. Im usually good at organizing people to do fun things, and Facebook groups have always been a great tool for me. It puts a “face” to everyone and see who is ready to take action and sign on for a game. I’ve created a group… please join at the following link!
@dadkins131 “Content not found” so I went on FB and did a search, and found nothing
@Justinrenna Looks like you made it in.
@dadkins131 😄 I just realized you are in both conversations. Good show.
@CherryGT you in?
Hey guys, coming late to this conversation but I live about 10 minutes from Jenkintown and that store (7th Dimension) is great, that said, might be best for someone to host that can leave the board set up in case we don’t finish. You guys thinking Global 1940? I’m in if you don’t have 5 yet, depending on time. Evenings are better for me because I have young kids.
@TheShrike I suggested that store. There is also a place in Levittown.
@TheShrike Personally, i’m thinking we should keep the first game on the “shorter side”. Something like 1942 with the hopes we can finish in 3-5 hours. Just so we can get a feel for everyone and if we get a returning crew, then we can make a leap to global.Also, if for some reason we don’t finish… i’ll take a high res photo and volunteer to set it up for the next meet up.
That’s a good idea!
Given my issues with dad duty, I doubt I’ll make it during the day on a Sunday. Anyone interested in a separate game of Global in Triple A that we could play by email, just for us locals? I always wanted to get a five person game without time limit and that would allow us to do it.
I’m in. This sunday right?